At which epochs does the hyperband algorithm of wandb checks for improvement?

What I am trying to do :-

I am trying to apply a bayesian hyperband sweep.

Now as mentioned in the docs, under early terminate we have to mention 4 params (generally), those are min_iter, s, eta and max_iter, it would look something like follows.


My doubts summarized:-

In summary, what I want to know,
Given all 4 :- min_iter, s, eta, and max_iter

  1. at which epochs will the hyperband algorithm check for improvement??

  2. considering I am trying to do bayesian hyperband, how many runs will be evaluated in the first bracket, and how many runs will be evaluated in the consecutive brackets?

  3. is there any way or rule(s) of thumb to decide what values are good to take for these 4 parameters(min_iter, s, eta, and max_iter) ?

  4. please explain about the paramters s and eta (especially eta) in a bit more detail, i.e. with a bit or underlying maths (please keep it simple if possible).


What is my doubt about?? (explained in a bit more detail/context):-

in the docs it is only somewhat explained that at which epochs (their) implementation of the hyperband algorithm checks for improvement and takes decision whether to terminate a run or not.

  1. When only the minimum number of iterations for each run are our concern
     type: hyperband  
     min_iter: 3

The brackets for this example are: [3, 3*eta, 3*eta*eta, 3*eta*eta*eta], which equals [3, 9, 27, 81].

  1. When only the maximum number of iterations for each run are our concern
    type: hyperband  
    max_iter: 27  
    s: 2

The brackets for this example are [27/eta, 27/eta/eta], which equals [9, 3].

But what about a case when both the minimum and maximum number of iterations for each run are our concern??
Like the one as follows…

  type: hyperband
  min_iter: 10
  s: 3
  eta: 4
  max_iter: 50

Hi @orphic-vis, thank you for reaching out to Weights & Biases with your very interesting question. I will investigate internally to get some more detailed information on the bayesian hyperband Sweeps and will get back to you

@fmamberti-wandb Thank you for your reply!! I will be eagerly waiting for your answer. :smile:

@fmamberti-wandb Any updates on this topic??

Hi @orphic-vis , apologies for the late reply on this - truly sorry.

=====
1.
Structure and computed X-ray powder pattern of HfMg6Cr (a crystal structure in the Materials Project, relaxed with PBE; Cu Kα (λ = 1.5418 Å)).
Intensities are scaled so that the largest is 100.

```
data_HfMg6Cr
_chemical_formula_sum 'Hf2 Mg12 Cr2'
_cell_length_a 5.039
_cell_length_b 6.179
_cell_length_c 10.982
_cell_angle_alpha 90.00
_cell_angle_beta 90.00
_cell_angle_gamma 90.00
_symmetry_space_group_name_H-M 'A m m 2'
_symmetry_Int_Tables_number 38
_symmetry_space_group_name_Hall 'A 2 -2'
loop_
_atom_site_label
_atom_site_fract_x
_atom_site_fract_y
_atom_site_fract_z
Hf1 0.000 0.000 0.000
Mg1 0.000 0.247 0.250
Mg2 0.500 0.000 0.162
Mg3 0.500 0.000 0.659
Mg4 0.500 0.247 0.419
Cr1 0.000 0.000 0.497
```

Peak list (10 most intense, 2θ from 10° to 80°, by angle)
two_theta  I (rel.)  hkl
16.1  58  0 0 2
16.5  46  0 1 1
17.6  45  1 0 0
24.0  42  1 0 2
24.2  40  1 1 1
33.3  37  0 2 2
35.6  37  2 0 0
37.3  53  1 0 4
37.9  100  1 2 2
65.5  24  3 2 2

2.
Structure and computed X-ray powder pattern of GaB2P2O12 (a crystal structure in the Materials Project, relaxed with PBE; Cu Kα (λ = 1.5418 Å)).
Intensities are scaled so that the largest is 100.

```
data_GaB2P2O12
_chemical_formula_sum 'Ga4 B8 P8 O48'
_cell_length_a 17.370
_cell_length_b 6.972
_cell_length_c 7.054
_cell_angle_alpha 90.00
_cell_angle_beta 110.08
_cell_angle_gamma 90.00
_symmetry_space_group_name_H-M 'C 1 2/c 1'
_symmetry_Int_Tables_number 15
_symmetry_space_group_name_Hall '-C 2yc'
loop_
_atom_site_label
_atom_site_fract_x
_atom_site_fract_y
_atom_site_fract_z
Ga1 0.250 0.250 0.000
B1 0.095 0.223 0.602
P1 0.150 0.125 0.292
O1 0.023 0.335 0.606
O2 0.087 0.018 0.648
O3 0.103 0.246 0.402
O4 0.154 0.328 0.758
O5 0.176 0.267 0.158
O6 0.222 0.021 0.446
```

Peak list (10 most intense, 2θ from 10° to 80°, by angle)
two_theta  I (rel.)  hkl
10.8  100  2 0 0
13.8  21  1 1 0
20.5  15  1 1 1
20.7  21  3 1 0
21.4  22  3 1 -1
25.6  26  0 2 0
27.7  95  3 1 1
28.3  55  4 0 -2
29.0  28  0 2 1
42.7  12  3 3 -1

3.
Structure and computed X-ray powder pattern of CaGeS3O12 (a crystal structure in the Materials Project, relaxed with PBE; Cu Kα (λ = 1.5418 Å)).
Intensities are scaled so that the largest is 100.

```
data_CaGeS3O12
_chemical_formula_sum 'Ca6 Ge6 S18 O72'
_cell_length_a 8.8737
_cell_length_b 8.8737
_cell_length_c 21.4863
_cell_angle_alpha 90.00
_cell_angle_beta 90.00
_cell_angle_gamma 120.00
_symmetry_space_group_name_H-M 'R 3 c'
=====

Referencing the code implementing the hyperband algorithm (see here), the min_iter value is only used if max_ter is not set; therefor setting both values is the same as setting only max_iter.

As mentioned in this section of the Docs, s determines the number of brackets, and eta is the factor (or dividend, if you are using max_iter) used to multiple or divide the previous bracket to get to the next one.

how many runs will be evaluated in the first bracket, and how many runs will be evaluated in the consecutive brackets?

When you start a Run via an agent, whenever each Run reaches each step for each bracket (i.e. [3, 3*eta, 3*eta*eta, 3*eta*eta*eta]) it will be evaluated against previous Runs, and terminated if the metric is too low (or too high), so the number of runs reaching each bracket will chance for each sweep.

Please let me know if you have any further questions and thank you for your patience.

Hi @orphic-vis , I wanted to follow up on this request. Please let us know if we can be of further assistance.

@fmamberti-wandb First of all thak you for your reply!! And second sorry for my late reply. :sweat_smile:

I have 2 more doubts.

  1. “it will be evaluated against previous Runs” – Say, so far 40 runs have been completed, and the 11th run has reached a flag/band on which the hyperband algorithm will now check its performance. So, how will the previous runs be used?? Will it be the average of the tracked target metric of ALL the previous runs?? Or something else ?? (like out of all 40, only the most recent 15’s average??)

  2. One issue is that, unlike other libraries, in wandb yo use bayes, we can only mention the method as bayes as of the moment, and no further info, like the acquisition function, any prior info on some configs, no. of steps to first take as totally random then start the actually bayes, exploration-exploitation trade-off parameter etc. Or is there a way to achieve that?? Also, if no, than can you please tell me what are the “default” settings of the bayesian optimization used in wandb??

Once again thanks a lot for your reply!!

@fmamberti-wandb Got somewhat of a lead for answer of 1st doubt here.
Mentions that the algorithm takes all the runs ever performed before the current run, takes the top (1/eta) percentile values of the target metric, sorted, as threshold(s) corresponding to the current band.
But then how are they used further??

# 1
Starting from a cell relaxed with PBE, the powder XRD pattern of C was calculated for Cu Ka.

a b c (Å): 4.379 4.379 2.515
angles (deg): 90.00 90.00 90.00
Space group I4/mmm (No. 139)
Unique sites:
C 0.180 0.180 0.000 x8

Principal peaks in the range 2θ from 10° to 90°, in order of rising 2θ:
28.8 deg, rel. 287, hkl 1 1 0; 41.2 deg, rel. 1000, hkl 2 0 0; 41.4 deg, rel. 863, hkl 1 0 1; 59.9 deg, rel. 163, hkl 2 1 1; 75.3 deg, rel. 456, hkl 3 0 1; 75.6 deg, rel. 120, hkl 0 0 2; 89.6 deg, rel. 245, hkl 3 2 1; 90.0 deg, rel. 130, hkl 2 0 2



# 2
Starting from a cell relaxed with PBE, the powder XRD pattern of C was calculated for Cu Ka.

a b c (Å): 4.477 4.477 4.477
angles (deg): 90.00 90.00 90.00
Space group Ia-3 (No. 206)
Unique sites:
C 0.094 0.094 0.094 x16

Principal peaks in the range 2θ from 10° to 90°, in order of rising 2θ:
40.3 deg, rel. 454, hkl 2 0 0; 49.9 deg, rel. 1000, hkl 2 1 1; 58.3 deg, rel. 30, hkl 2 2 0; 80.2 deg, rel. 560, hkl 3 2 1; 87.1 deg, rel. 102, hkl 4 0 0



# 3
Starting from a cell relaxed with PBE, the powder XRD pattern of C was calculated for Cu Ka.

a b c (Å): 10.491 2.464 10.564
angles (deg): 90.00 119.13 90.00
Space group P2_1/m (No. 11)
Unique sites:
C 0.032 0.250 0.189 x2
C 0.109 0.750 0.239 x2
C 0.123 0.750 0.870 x2
C 0.194 0.250 0.875 x2
C 0.246 0.750 0.372 x2
C 0.298 0.250 0.448 x2
C 0.307 0.250 0.836 x2
C 0.344 0.750 0.794 x2
C 0.364 0.250 0.603 x2
C 0.373 0.750 0.675 x2

Principal peaks in the range 2θ from 10° to 90°, in order of rising 2θ:
16.6 deg, rel. 1000, hkl 1 0 1; 16.8 deg, rel. 918, hkl 1 0 -2; 16.9 deg, rel. 930, hkl 2 0 -1; 19.2 deg, rel. 306, hkl 0 0 2; 19.4 deg, rel. 320, hkl 2 0 0; 19.6 deg, rel. 251, hkl 2 0 -2; 25.5 deg, rel. 157, hkl 1 0 2; 25.9 deg, rel. 173, hkl 3 0 -1

=====

The following is a simulated powder diffractogram of KCu2AsS3. It was derived from a structure optimized by DFT (PBE), using Cu Kα (weighted mean of Kα1 and Kα2).

Cell and atoms:
abc: 6.3500 8.9936 10.4101
angles: 90.77 91.15 90.51
Space group P-1 (No. 2)
Asymmetric unit:
1 K 0.2053 0.4310 0.1285 [2 per cell]
2 K 0.2870 0.5638 0.6274 [2 per cell]
3 Cu 0.0045 0.9009 0.6684 [2 per cell]
4 Cu 0.0762 0.8443 0.0463 [2 per cell]
5 Cu 0.4363 0.1379 0.5404 [2 per cell]
6 Cu 0.4852 0.2481 0.8546 [2 per cell]
7 As 0.0311 0.8183 0.3457 [2 per cell]
8 As 0.4869 0.9509 0.8564 [2 per cell]
9 S 0.1348 0.3036 0.8277 [2 per cell]
10 S 0.1379 0.2679 0.4744 [2 per cell]
11 S 0.1489 0.0808 0.1370 [2 per cell]
12 S 0.3539 0.6977 0.3355 [2 per cell]
13 S 0.3540 0.7293 0.9455 [2 per cell]
14 S 0.3650 0.9142 0.6464 [2 per cell]

Largest 10 diffraction maxima, in order of rising 2θ, 10° ≤ 2θ ≤ 90°:
| d/Å | 2θ/deg | intensity | h k l |
| --- | --- | --- | --- |
| 3.174 | 28.11 | 42 | 2 0 0 |
| 3.019 | 29.59 | 38 | 1 0 3 |
| 3.004 | 29.74 | 100 | 2 -1 0 |
| 2.913 | 30.70 | 74 | 1 1 -3 |
| 2.892 | 30.92 | 76 | 0 3 -1 |
| 2.871 | 31.15 | 36 | 0 3 1 |
| 2.848 | 31.41 | 71 | 1 1 3 |
| 2.603 | 34.46 | 58 | 0 0 4 |

Hi @orphic-vis

Regarding your first question, as you mentioned the algorithm take the previous runs that reached each band, get the value for the metric your are monitoring in the sweep and check what is the threshold for being in the top percentile of all these runs. If the current run is below/above it (depending if you are minimising or maximising) therefore not in the top r percent it will stop the run.

Regarding your second question, those settings are currently not customisable, but I’d be happy to raise a feature request for this. What parameters would you like to be able to control?
Regarding the default ones, the implementation is based on scikit-learn GaussianProcessRegression (see code here) with Matérn kernel, with expected_improvement optimisation function

@fmamberti-wandb Please do raise a feature request(s) if possible. Some features that can be added (may or may not be related to bayesian sweeps) are –

  1. Ability to some how log “sub”-runs of a run, in case of K-fold cross validation, grouped as one with ease, especially when sweeping is being done, currently its is very hard to achieve this.

  2. About the early stopping methods - I like the hyperband implementation, but I thinks its a bit too restrictive, it would be better to also have a method in which the user can mention that at which epochs/bands, the method compares the performance of the current run, with the previous runs, just in the way the hyperband implementation of wandb does, giving users more flexibility, as other wise the bands are deteremined in multiples of min_iter (or factors of max_iter)

  3. Expectation-exploitaiton trade off parameter (let’s call it x_i ) - Even better if at certain value say 0, it identical to random search, why?? related to point 6.

  4. Other than classic bayesian optimization (which uses gaussian processes), there is SMAC, which is bayesian optimization but with random forest, that might be a good adition to the set of optimization algorithms wandb has.

  5. Ability to mention the acquisition function (Not necessary but, I mean some libraries do have it)- PI, EI or Upper-bound

  6. Ability to guide the optimization algo(Not really necessary but would be nice) :- Now, bayesian search does require previous knowledge (either it explores itself, or the user provides it), so it would be nice if we can mention the algorithm (regardles of given previous data) how many random steps to taken before actually starting the bayesian search, and also say ability to change the x_i for the algo, (like first 15 random, next 15 explore with bayes, next 15 exploit with bayes)


Also regarding sweeps, I have faced an issue regarding categorical, hypeparameters, say I have run a sweep, with 8 hypeparameters, out of which 3 are categorical (doesn’t necessarily mean that its non-numeric, or discontinuous), for 50 evaluations.

If change the categorical distribution of even one hyperparameter (say in one of them originally 3 values were present, I just removed one of them to reduce it down to 2 values only), I get error, forcing me to provide the original distribution.

I want to carry over this knowledge gained to further more sweeps, as long as some tof the hypeparameters in the next sweep being used are common.

— This can be considered as a 7th feature, that may help a lot while performing sweeps in stages.

Hi @orphic-vis , I wanted to let you know that I have raised your feedback as feature request with our product team to review.

Regarding your first and last point:

  • You may be able to group different experiments of your sweep using tags with values from the sweep config parameters as well as using the group Runs features
  • You should be able to setup a new Sweep in the UI, copying the config from the old one and amending the parameters you would like to update and using the Configure prior runs to add the Runs you want to carry over from previous sweeps to carry over the knowledge to the new Sweep

Thanks for answering my questions. My doubts are solved, you can close this question/thread, as per requirement.